I Read Stuff!!

Hanlon's Razor: Never attribute to malice that which can be adequately explained by stupidity.

Tuesday, September 29, 2009

Hiding From Ronald McDonald

This guy went through the trouble to contact AggData for the geographical location of all 13 thousand McDonald's in the US.

"Why?", you ask.

He wanted to find the point where a person would be the furthest from any McDonald's. He graphed up this map of all McDonald's in the process.

The results of his data mining are a bit depressing.

Between the tiny Dakotan hamlets of Meadow and Glad Valley lies the McFarthest Spot: 107 miles distant from the nearest McDonald’s, as the crow flies, and 145 miles by car!

2 hours! The furthest you can possibly get from a McDonald's in 3.5 million sq miles is 2 hours by car!

Sunday, September 27, 2009

Left 4 Dead Famous

A buddy and I play L4D on a semi regular basis. We play with the unwashed masses, which tends to be full of real crack heads. Every so often we'll get a really fun group. The most recent of these groups had a guy recording the session.

This is the result:

Tuesday, September 15, 2009

Projection Technology

I haven't thought too much about what you can do with a projector, but these guys have clearly been studying it for a long time. Using some kind of high definition projector and very precise alignment, they have created a show on the side of a mansion.

The tricky thing is not the application of light, but the application of shadow.

Friday, September 11, 2009

Volcano From Space

The ISS passed over Sarychev Peak as it exploded into a 5-mile high plume of ash.

Thursday, September 03, 2009

Urinal Considerations

This is a real intellectual urinal consideration.

No laughing.

My original source of this data is the XKCD blog, but it is currently broken. I don't know if it will recover, so I will recreate the Google cached version.

After reading this paper on such an important subject, see if you can't put your new knowledge to the test.

Urinal protocol vulnerability

When a guy goes into the bathroom, which urinal does he pick? Most guys are familiar with the International Choice of Urinal Protocol. It’s discussed at length elsewhere, but the basic premise is that the first guy picks an end urinal, and every subsequent guy chooses the urinal which puts him furthest from anyone else peeing. At least one buffer urinal is required between any two guys or Awkwardness ensues.

Let’s take a look at the efficiency of this protocol at slotting everyone into acceptable urinals. For some numbers of urinals, this protocol leads to efficient placement. If there are five urinals, they fill up like this:

The first two guys take the end and the third guy takes the middle one. At this point, the urinals are jammed — no further guys can pee without Awkwardness. But it’s pretty efficient; over 50% of the urinals are used.

On the other hand, if there are seven urinals, they don’t fill up so efficiently:

There should be room for four guys to pee without Awkwardness, but because the third guy followed the protocol and chose the middle urinal, there are no options left for the fourth guy (he presumably pees in a stall or the sink).

For eight urinals, the protocol works better:

So a row of eight urinals has a better packing efficiency than a row of seven, and a row of five is better than either.

This leads us to a question: what is the general formula for the number of guys who will fill in N urinals if they all come in one at a time and follow the urinal protocol? One could write a simple recursive program to solve it, placing one guy at a time, but there’s also a closed-form expression. If f(n) is the number of guys who can use n urinals, f(n) for n>2 is given by:

Someone pasted crystal structures at this point:
# 1
A geometry-optimized Tb2PmH6 structure. Source: Alexandria, functional PBE-GGA.

a b c (Å): 8.356 8.356 8.356
angles (deg): 154.17 154.17 36.85
Element x y z (fractional)
Tb1 0.168 0.168 0.000
Tb2 0.832 0.832 0.000
Pm1 0.500 0.500 0.000
H1 0.088 0.588 0.500
H2 0.250 0.750 0.500
H3 0.412 0.912 0.500
H4 0.588 0.088 0.500
H5 0.750 0.250 0.500
H6 0.912 0.412 0.500

Properties
Its calculated volume is 110.6 Å³/cell. Its total energy is -40.36 eV per cell.

***

# 2
A geometry-optimized KBa2Rh structure. Source: Alexandria, functional PBE-GGA.

a b c (Å): 4.669 4.314 9.873
angles (deg): 90.00 103.66 90.00
Element x y z (fractional)
K1 0.000 0.000 0.000
Ba1 0.332 0.000 0.662
Ba2 0.681 0.500 0.359
Rh1 0.822 0.500 0.642

Properties
The calculation puts the energy relative to the lowest polymorph listed for this composition at 15.5 kJ/mol of atoms. Its calculated volume is 193.2 Å³/cell. Its total energy is -12.10 eV per cell. The energy relative to the elements comes out at 49 meV per atom.

***

# 3
A geometry-optimized SrNi4Os structure. Source: Alexandria, functional PBE-GGA.

a b c (Å): 4.969 4.969 4.969
angles (deg): 60.00 60.00 60.00
Element x y z (fractional)
Sr1 0.000 0.000 0.000
Ni1 0.128 0.624 0.624
Ni2 0.624 0.128 0.624
Ni3 0.624 0.624 0.128
Ni4 0.624 0.624 0.624
Os1 0.250 0.250 0.250

Properties
Its calculated volume is 86.8 Å³/cell. Its total energy is -33.53 eV per cell. The energy relative to the elements comes out at 418 meV per atom.

***

# 4
A geometry-optimized IrAuBr2 structure. Source: Alexandria, functional PBE-GGA.

a b c (Å): 3.296 3.296 10.283
angles (deg): 90.00 90.00 123.55
Element x y z (fractional)
Ir1 0.000 0.000 0.000
Au1 0.000 0.000 0.500
Br1 0.500 0.500 0.190
Br2 0.500 0.500 0.810

Properties
Its uncorrected formation energy is 0.6265 eV per atom. The calculation puts the energy relative to the lowest polymorph listed for this composition at 49.6 kJ/mol of atoms. Its calculated volume is 93.1 Å³/cell. Its total energy is -12.98 eV per cell.

***

# 5
A geometry-optimized ZrRe2Cl structure. Source: Alexandria, functional PBE-GGA.

a b c (Å): 5.826 5.826 2.755
angles (deg): 90.00 90.00 129.51
Element x y z (fractional)
Zr1 0.000 0.000 0.000
Re1 0.000 0.500 0.500
Re2 0.500 0.000 0.500
Cl1 0.500 0.500 0.000

Properties
Its uncorrected formation energy is 0.6720 eV per atom. The calculation puts the energy relative to the lowest polymorph listed for this composition at 76.9 kJ/mol of atoms. Its calculated volume is 72.1 Å³/cell. Its total energy is -32.60 eV per cell.

***

# 6
A geometry-optimized Pt2Au structure. Source: Alexandria, functional PBE-GGA.

a b c (Å): 6.453 6.453 6.453
angles (deg): 154.61 154.61 36.22
Element x y z (fractional)
Pt1 0.171 0.171 0.000
Pt2 0.829 0.829 0.000
Au1 0.500 0.500 0.000

Properties
Back to the text:

The protocol is vulnerable to producing inefficient results for some urinal counts. Some numbers of urinals encourage efficient packing, and others encourage sparse packing. If you graph the packing efficiency (f(n)/n), you get this:

This means that some large numbers of urinals will pack efficiently (50%) and some inefficiently (33%). The ‘best’ number of urinals, corresponding to the peaks of the graph, are of the form:

The worst, on the other hand, are given by:
So, if you want people to pack efficiently into your urinals, there should be 3, 5, 9, 17, or 33 of them, and if you want to take advantage of the protocol to maximize awkwardness, there should be 4, 7, 13, or 25 of them.

These calculations suggest a few other hacks. Guys: if you enter a bathroom with an awkward number of vacant urinals in a row, rather than taking one of the end ones, you can take one a third of the way down the line. This will break the awkward row into two optimal rows, turning a worst-case scenario into a best-case one. On the other hand, say you want to create awkwardness. If the bathroom has an unawkward number of urinals, you can pick one a third of the way in, transforming an optimal row into two awkward rows.

And, of course, if you want to make things really awkward, I suggest printing out this article and trying to explain it to the guy peeing next to you.

Edit: The protocol may not be international, but I’m calling it that anyway for acronym reasons.

GameInterestRelease Date
Civilization IV1
C&C 31
Company of Heroes1
Half Life 21
Half Life 2: Episode One1
Supreme Commander1
Call of Duty 22
Dungeon Runners2
Dungeon Siege II2
Far Cry2
Galactic Civilization II2
Hitman: Blood Money2
Jade Empire2
Neverwinter Nights 22
Sam & Max: Episode 12
Titan Quest2
Dark Messiah Might and Magic3
Heroes of Might and Magic V3
Indigo Prophecy3
LEGO Star Wars3
Marvel Ultimate Alliance3
Space Rangers 2: The Rise of the Dominators3
STALKER: Shadow of Chernobyl3
Stubbs the Zombie3
War Front3
Warhammer: Mark of Chaos3
Pirates of the Burning SeaM6/1/2007
Enemy Territory: Quake Wars?6/5/2007
Two Worlds?6/26/07
Sins of A Solar Empire?8/1/2007
Mass Effect19/7/07
Age of ConanM10/30/07
Crysis1Fall 2007
Elveon?Fall 2007
Half-Life 2: Episode Two1Fall 2007
Portals1Fall 2007
Spore1Fall 2007
Stranglehold?Fall 2007
Tabula RasaMFall 2007
Team Fortress 22Fall 2007
Dragon Age?Winter 2007
Fable 2?Winter 2007
Field Ops?Winter 2007
Halo Wars?Winter 2007
Gods & Heroes: Rome RisingMWinter 2007
Haze?Winter 2007
Hellgate: London1Winter 2007
HuxleyMWinter 2007
Kane & Lynch: Dead Men?Winter 2007
Left 4 Dead?Winter 2007
The AgencyMSpring 2008
Empire Earth III?Spring 2008
Guild Wars 2 MSpring 2008
Jericho?Spring 2008
Sacred 2?Spring 2008
Savage 2?Spring 2008
Time Shift2Spring 2008
Universe at War: Earth Assault3Spring 2008
The Witcher?Spring 2008
Darkest of Days?2008
On The Rain-Slick Precipice of Darkeness: Episode 122008
Warhammer OnlineM2008
Alliance: The Silent War??
Alone in the Dark??
Assassin's Creed??
BioWare MMO??
The Crossing??
Dungeon Hero??
Fallout 3??
Lego Batman??
Space Seige??
Culdcept SagaPC??
Gears of WarPC??
God of WarPC??
Beautiful KatamariPC??
Resistance: Fall of ManPC??
Odin's SpherePC??
Castle CrashersPC??

1 - I will buy it
2 - I'll buy it at discount
3 - Other people think it's good, but I wasn't interested when I first heard about it
M - Mainly Multiplayer. See if friends get interested.
? - Find out more about this game
PC? - Will it be released on the PC?